-- Material --
- - -
Record 1
{"formula": "C7H15N", "method": "wB97M-V/def2-TZVPD", "smiles": "C=C(CC)C[C@@H](C)N", "spin_multiplicity": 1, "de_lowest_kj_mol": 104.1, "total_charge": 0, "symbols": ["C", "C", "C", "C", "C", "C", "C", "N", "H", "H", "H", "H", "H", "H", "H", "H", "H", "H", "H", "H", "H", "H", "H"], "positions_angstrom": [[-1.2340, 0.9302, -1.3583], [-0.6939, 0.7349, -0.1619], [-0.1032, 1.8353, 0.6968], [0.4744, 3.0134, -0.0977], [-0.8072, -0.6319, 0.5154], [0.0604, -1.6922, -0.1474], [1.4975, -1.6447, 0.3920], [-0.4838, -3.0453, 0.0630], [-1.2501, 1.9308, -1.7738], [-1.6694, 0.1521, -1.9709], [-0.8912, 2.1970, 1.3618], [0.6742, 1.4044, 1.3097], [0.6657, 2.7227, -1.1353], [-0.3540, 3.6817, -0.3803], [1.2668, 3.5384, 0.4069], [-1.8305, -0.9263, 0.3066], [-0.6595, -0.5769, 1.5924], [0.1301, -1.5904, -1.2294], [2.2191, -2.0553, -0.2852], [1.8851, -0.6426, 0.6008], [1.5442, -2.1333, 1.3689], [-0.4570, -3.5754, -0.7973], [0.0164, -3.6266, 0.7229]], "forces_ev_per_angstrom": [[0.3, 0.6, 0.0], [-0.2, -0.3, 0.9], [0.1, 0.2, -0.9], [-1.9, -0.1, -1.1], [-0.6, 0.4, -1.4], [1.3, -1.0, 0.7], [0.0, 0.9, 0.6], [-0.4, -0.4, -0.3], [0.1, -0.1, -0.2], [-0.1, -0.1, 0.2], [0.1, -0.1, 0.2], [0.2, -0.2, 0.3], [1.2, -0.4, 0.4], [0.2, 0.4, 0.8], [0.3, 0.2, -0.1], [-0.2, -0.3, 0.4], [0.1, -0.1, 0.0], [-0.4, 0.6, 0.0], [0.3, -0.7, -0.3], [-0.4, 0.2, -0.2], [0.0, -0.3, -0.1], [-0.1, 0.1, -0.1], [0.2, 0.4, 0.3]]}


Record 2
{"formula": "C7H15N", "method": "wB97M-V/def2-TZVPD", "smiles": "[H]/N=C(/C)[C@H](C)C(C)C", "spin_multiplicity": 1, "de_lowest_kj_mol": 291.2, "total_charge": 0, "symbols": ["H", "N", "C", "C", "C", "C", "C", "C", "C", "H", "H", "H", "H", "H", "H", "H", "H", "H", "H", "H", "H", "H", "H"], "positions_angstrom": [[-0.7011, 2.1388, -1.8144], [-1.4098, 1.4622, -1.5247], [-0.8556, 0.4007, -0.9839], [-1.4332, -0.9782, -1.2657], [0.6752, 0.4281, -0.5928], [1.4738, -0.7885, -1.0481], [0.5365, 0.7071, 0.8685], [-1.2960, 0.4418, 1.2016], [1.3295, -0.0767, 1.8771], [-1.0410, -1.3434, -2.2173], [-1.1814, -1.6965, -0.4841], [-2.5193, -0.8978, -1.3287], [1.1028, 1.3095, -1.0782], [2.5343, -0.6640, -0.8123], [1.1425, -1.7155, -0.5770], [1.3908, -0.9160, -2.1307], [0.5600, 1.7765, 1.0773], [-1.2591, -0.5366, 1.6853], [-1.3908, 1.2294, 1.9518], [-2.2951, 0.5373, 0.7731], [1.0312, 0.1768, 2.8980], [2.3965, 0.1597, 1.7748], [1.2094, -1.1548, 1.7504]], "forces_ev_per_angstrom": [[-0.1, 0.2, 0.8], [0.5, -2.2, 0.3], [1.8, 1.6, -4.0], [-0.6, 0.5, 1.2], [-1.1, 0.0, -1.2], [0.1, 0.0, 0.2], [-3.4, 0.0, 0.6], [2.0, 0.1, 2.8], [-0.1, -0.1, 0.1], [0.0, 0.2, 0.1], [0.0, 0.0, -0.1], [0.1, 0.0, -0.1], [0.0, 0.0, -0.1], [-0.1, 0.0, 0.0], [0.0, 0.0, 0.0], [0.0, 0.0, 0.1], [0.2, -0.1, -0.1], [-0.2, 0.1, 0.3], [0.2, -0.2, 0.6], [0.7, -0.1, -1.3], [0.0, 0.0, -0.1], [-0.1, 0.0, 0.0], [0.0, 0.1, 0.0]]}


Record 3
- - -

-- What to do --
Transcribe the lines earlier on from the one with "[-0.1032, 1.8353," to the one with "[-1.1814, -1.6965," exactly, please.

-- Here it is --
{"formula": "C7H15N", "method": "wB97M-V/def2-TZVPD", "smiles": "C=C(CC)C[C@@H](C)N", "spin_multiplicity": 1, "de_lowest_kj_mol": 104.1, "total_charge": 0, "symbols": ["C", "C", "C", "C", "C", "C", "C", "N", "H", "H", "H", "H", "H", "H", "H", "H", "H", "H", "H", "H", "H", "H", "H"], "positions_angstrom": [[-1.2340, 0.9302, -1.3583], [-0.6939, 0.7349, -0.1619], [-0.1032, 1.8353, 0.6968], [0.4744, 3.0134, -0.0977], [-0.8072, -0.6319, 0.5154], [0.0604, -1.6922, -0.1474], [1.4975, -1.6447, 0.3920], [-0.4838, -3.0453, 0.0630], [-1.2501, 1.9308, -1.7738], [-1.6694, 0.1521, -1.9709], [-0.8912, 2.1970, 1.3618], [0.6742, 1.4044, 1.3097], [0.6657, 2.7227, -1.1353], [-0.3540, 3.6817, -0.3803], [1.2668, 3.5384, 0.4069], [-1.8305, -0.9263, 0.3066], [-0.6595, -0.5769, 1.5924], [0.1301, -1.5904, -1.2294], [2.2191, -2.0553, -0.2852], [1.8851, -0.6426, 0.6008], [1.5442, -2.1333, 1.3689], [-0.4570, -3.5754, -0.7973], [0.0164, -3.6266, 0.7229]], "forces_ev_per_angstrom": [[0.3, 0.6, 0.0], [-0.2, -0.3, 0.9], [0.1, 0.2, -0.9], [-1.9, -0.1, -1.1], [-0.6, 0.4, -1.4], [1.3, -1.0, 0.7], [0.0, 0.9, 0.6], [-0.4, -0.4, -0.3], [0.1, -0.1, -0.2], [-0.1, -0.1, 0.2], [0.1, -0.1, 0.2], [0.2, -0.2, 0.3], [1.2, -0.4, 0.4], [0.2, 0.4, 0.8], [0.3, 0.2, -0.1], [-0.2, -0.3, 0.4], [0.1, -0.1, 0.0], [-0.4, 0.6, 0.0], [0.3, -0.7, -0.3], [-0.4, 0.2, -0.2], [0.0, -0.3, -0.1], [-0.1, 0.1, -0.1], [0.2, 0.4, 0.3]]}


Record 2
{"formula": "C7H15N", "method": "wB97M-V/def2-TZVPD", "smiles": "[H]/N=C(/C)[C@H](C)C(C)C", "spin_multiplicity": 1, "de_lowest_kj_mol": 291.2, "total_charge": 0, "symbols": ["H", "N", "C", "C", "C", "C", "C", "C", "C", "H", "H", "H", "H", "H", "H", "H", "H", "H", "H", "H", "H", "H", "H"], "positions_angstrom": [[-0.7011, 2.1388, -1.8144], [-1.4098, 1.4622, -1.5247], [-0.8556, 0.4007, -0.9839], [-1.4332, -0.9782, -1.2657], [0.6752, 0.4281, -0.5928], [1.4738, -0.7885, -1.0481], [0.5365, 0.7071, 0.8685], [-1.2960, 0.4418, 1.2016], [1.3295, -0.0767, 1.8771], [-1.0410, -1.3434, -2.2173], [-1.1814, -1.6965, -0.4841], [-2.5193, -0.8978, -1.3287], [1.1028, 1.3095, -1.0782], [2.5343, -0.6640, -0.8123], [1.1425, -1.7155, -0.5770], [1.3908, -0.9160, -2.1307], [0.5600, 1.7765, 1.0773], [-1.2591, -0.5366, 1.6853], [-1.3908, 1.2294, 1.9518], [-2.2951, 0.5373, 0.7731], [1.0312, 0.1768, 2.8980], [2.3965, 0.1597, 1.7748], [1.2094, -1.1548, 1.7504]], "forces_ev_per_angstrom": [[-0.1, 0.2, 0.8], [0.5, -2.2, 0.3], [1.8, 1.6, -4.0], [-0.6, 0.5, 1.2], [-1.1, 0.0, -1.2], [0.1, 0.0, 0.2], [-3.4, 0.0, 0.6], [2.0, 0.1, 2.8], [-0.1, -0.1, 0.1], [0.0, 0.2, 0.1], [0.0, 0.0, -0.1], [0.1, 0.0, -0.1], [0.0, 0.0, -0.1], [-0.1, 0.0, 0.0], [0.0, 0.0, 0.0], [0.0, 0.0, 0.1], [0.2, -0.1, -0.1], [-0.2, 0.1, 0.3], [0.2, -0.2, 0.6], [0.7, -0.1, -1.3], [0.0, 0.0, -0.1], [-0.1, 0.0, 0.0], [0.0, 0.1, 0.0]]}